Minister Of Transportation Budi: Development Of Transportation Infrastructure Increases Economic Growth And Tourism In Aceh

Attached: data records
........
Record 1
This record from OMol25 describes an isolated ion of composition C3H8N5 and charge +1. The level of theory is ωB97M-V/def2-TZVPD.

Each line ends with the Löwdin charge.
Atoms and positions in Å:
C -0.4579 -0.0497 -0.0923  0.017
C -0.2302 1.3942 -0.3731  0.024
C 1.9916 -1.3615 0.4275  0.033
N -0.2723 -2.3715 0.2408  0.026
N -1.4682 -2.0586 0.1082  0.095
N 0.5820 -1.4645 0.1533  -0.023
N -1.6118 -0.6707 -0.0873  -0.144
N -2.9002 -0.2825 -0.1626  0.177
H -0.9945 1.7572 -0.8972  0.044
H -0.0324 2.0621 0.4192  0.089
H 0.7903 1.4644 -0.8750  0.132
H 2.3943 -0.6766 -0.3250  0.121
H 2.1086 -1.1986 1.4006  0.060
H 2.3191 -2.3478 0.3179  0.096
H -2.9512 0.6207 0.2794  0.129
H -3.5165 -1.0365 0.0776  0.126

Cartesian forces (eV/Å) of the 6 atoms listed first:
0.37 -2.98 0.79
5.08 -2.48 0.72
-1.25 -0.70 -3.60
0.28 -1.56 0.27
-1.24 -0.50 -0.03
-3.97 6.65 -1.33

Summary:
energy relative to the best compared isomer or geometry (same formula, charge and spin)	112.0	kcal per mole
frontier orbital gap	10.84	eV
SMILES	Cc1n(C)nn[n+]1N
LUMO level	-4.068	eV
spin multiplicity	1
charge	+1

=====

Record 2
This record from OMol25 describes C12H17P as an isolated structure. The level of theory is ωB97M-V/def2-TZVPD.

Each line ends with the Löwdin charge.
Atoms and positions in Å:
C 4.5058 -0.7535 -0.0064  -0.078
C 3.4761 -1.3555 0.7166  -0.085
C 4.2611 0.4846 -0.5404  -0.077
C 2.3140 -0.6405 0.9960  -0.124
C 2.9668 1.0727 -0.4940  -0.129
C 2.0044 0.5187 0.2916  -0.177
C -1.6327 1.4698 1.1686  -0.271
C -0.9070 0.7714 -1.2743  -0.305
C -2.5018 0.3589 0.5542  -0.439
C -1.7281 -0.2702 -0.6084  -0.447
C -2.7552 -0.7865 1.5939  -0.068
C -2.8789 -0.8004 -1.5319  -0.097
P -0.2037 1.5214 0.2502  0.985
H 5.3938 -1.2289 -0.1242  0.072
H 3.7414 -2.2798 1.0319  0.065
H 4.9707 0.8930 -1.0690  0.043
H 1.5521 -1.1617 1.6365  0.106
H 2.8765 1.9987 -1.0528  0.092
H -1.5075 1.7039 2.1744  0.011
H -0.1714 0.4809 -1.8776  0.031
H -1.3206 1.6602 -1.8152  0.117
H -3.4280 0.7198 0.2821  0.094
H -1.0471 -1.1858 -0.1927  0.184
H -1.8332 -1.4945 1.8102  0.124
H -3.5039 -1.3754 1.2839  0.008
H -3.1715 -0.2666 2.4424  0.068
H -3.6794 0.0677 -1.8082  0.125
H -3.5109 -1.6518 -1.1247  0.074
H -2.4797 -1.2638 -2.5428  0.097
H 0.1980 2.7931 -0.1698  -0.001

Cartesian forces (eV/Å) of the 6 atoms listed first:
-3.27 1.44 0.59
0.30 3.08 -0.76
-4.11 -1.72 1.81
-1.38 -1.86 0.13
1.90 0.31 -0.25
-2.46 0.80 0.68

Summary:
energy relative to the best compared isomer or geometry (same formula, charge and spin)	125.1	kcal per mole
frontier orbital gap	8.02	eV
LUMO level	0.716	eV
spin multiplicity	1
charge	0

=====

Record 3
This record from OMol25 describes a 2-piece molecular cluster, C2H5O3S overall. The level of theory is ωB97M-V/def2-TZVPD.

Each line ends with the Löwdin charge.
Atoms and positions in Å:
C -0.8744 1.3558 1.7833  -0.029
C -0.2964 -1.4846 -0.7662  -0.247
O 0.5720 2.1089 -1.3970  -0.454
O 1.8615 0.3704 -0.2081  -0.470
O -0.3179 -0.2582 -1.4075  -0.389
S 0.5471 0.9739 -0.4791  0.638
........

Minister of Transportation Budi Karya Sumadi said that the development of transportation infrastructure by the government in Aceh Province and its surroundings could spur an increase in economic growth and tourism.

During his working visit to Aceh, Budi Karya visited a number of transportation infrastructures, namely Kuala Langsa Port in Aceh Province and Paya Ilang Takengon Type A Terminal in Central Aceh Regency.

Budi said, the Ministry of Transportation is preparing for a dredging work at Kuala Langsa Port managed by PT Pelabuhan Indonesia (Pelindo).

Molecular data that have nothing to do with the page:
~~~
Record 1
The following is a DFT calculation (ωB97M-V/def2-TZVPD) of a 11-piece molecular cluster, C40H84N4O11 overall at a distorted geometry.

XYZ file:
```
139
C40H84N4O11 (ωB97M-V/def2-TZVPD)
C -0.038 -0.482 3.710
C -0.484 -0.470 5.229
C -1.945 -0.741 5.218
O -2.253 -1.188 3.851
C -1.354 -0.500 3.009
H 0.575 -1.307 3.417
H 0.452 0.485 3.482
H -0.160 0.470 5.720
H 0.083 -1.244 5.800
H -2.549 0.149 5.441
H -2.284 -1.463 5.989
H -1.727 0.564 2.917
H -1.255 -0.916 2.040
C -4.062 0.789 1.601
C -5.020 0.132 2.604
C -6.297 -0.060 1.742
O -5.993 0.198 0.368
C -4.994 1.277 0.485
H -3.353 0.088 1.267
H -3.579 1.625 2.129
H -5.167 0.795 3.448
H -4.689 -0.820 3.026
H -7.037 0.678 1.989
H -6.736 -1.037 1.873
H -5.504 2.197 0.842
H -4.538 1.378 -0.512
C 3.666 0.909 -3.348
C 4.926 1.562 -2.830
C 6.048 0.673 -3.400
O 5.410 -0.414 -4.136
C 4.068 -0.514 -3.681
H 3.379 1.507 -4.218
H 2.823 0.871 -2.651
H 5.012 1.646 -1.722
H 4.957 2.544 -3.237
H 6.726 0.232 -2.701
H 6.554 1.306 -4.157
H 4.042 -1.116 -2.751
H 3.409 -0.939 -4.497
C 3.604 0.157 2.713
C 4.405 0.625 1.492
C 4.637 -0.744 0.694
O 3.864 -1.716 1.349
C 3.753 -1.376 2.678
H 2.503 0.317 2.587
H 3.906 0.513 3.698
H 5.363 1.086 1.798
H 3.816 1.347 0.882
H 5.651 -1.104 0.766
H 4.364 -0.657 -0.380
H 4.572 -1.705 3.291
H 2.907 -1.929 3.117
C 0.646 -3.528 -3.710
C -0.791 -3.067 -3.354
C -1.293 -4.344 -2.819
O -0.845 -5.347 -3.703
C 0.534 -5.042 -3.950
H 1.216 -3.373 -2.801
H 1.062 -2.930 -4.517
H -1.240 -2.748 -4.294
H -0.785 -2.197 -2.687
H -2.334 -4.500 -2.690
H -0.879 -4.434 -1.779
H 0.724 -5.378 -4.984
H 1.245 -5.493 -3.256
C 0.121 2.135 -4.137
C 0.258 0.842 -4.977
C -1.191 0.489 -5.157
O -1.817 1.750 -5.495
C -1.306 2.707 -4.540
H 0.911 2.838 -4.444
H 0.184 1.875 -3.048
H 0.785 0.053 -4.426
H 0.672 0.992 -5.957
H -1.509 0.113 -4.206
H -1.487 -0.241 -5.901
H -2.037 2.754 -3.746
H -1.199 3.679 -5.028
C 1.338 1.403 -0.093
C 1.346 -0.135 -0.455
C 0.013 -0.299 -1.234
O -0.879 0.707 -0.726
C -0.080 1.745 -0.156
H 1.851 1.919 -0.862
H 1.761 1.750 0.862
H 1.328 -0.665 0.498
H 2.198 -0.521 -1.024
H -0.432 -1.258 -1.189
H 0.149 -0.171 -2.331
H -0.458 1.860 0.852
H -0.262 2.668 -0.721
C -2.540 -4.591 1.384
C -2.383 -3.438 0.424
O -1.400 -2.716 0.436
N -3.403 -3.221 -0.463
C -3.530 -1.940 -1.158
H -2.436 -4.166 2.381
H -1.660 -5.183 1.287
H -3.460 -5.196 1.264
H -4.246 -3.782 -0.329
H -4.544 -1.558 -0.980
H -3.289 -1.966 -2.204
H -2.890 -1.206 -0.636
C 1.364 5.211 -1.752
C 1.254 5.041 -0.266
O 2.059 4.383 0.346
N 0.284 5.650 0.381
C 0.185 5.675 1.841
H 0.524 5.778 -2.210
H 1.493 4.268 -2.271
H 2.320 5.747 -1.926
H -0.305 6.256 -0.196
H 0.482 4.779 2.379
H -0.851 6.028 2.047
H 0.936 6.394 2.230
C -4.699 4.338 5.230
C -3.506 3.530 4.931
O -3.550 2.310 5.017
N -2.341 4.173 4.609
C -1.190 3.353 4.267
H -4.459 5.191 5.846
H -5.492 3.829 5.759
H -5.059 4.806 4.302
H -2.332 5.167 4.459
H -0.995 3.328 3.219
H -1.253 2.329 4.617
H -0.269 3.671 4.766
C 1.273 -3.863 0.378
C 1.774 -5.175 -0.053
O 1.162 -6.229 0.120
~~~

"This work will begin to be carried out in 2023 with a collaboration between the Ministry of Transportation (KPLP Directorate, Directorate General of Sea Transportation), Provincial Government of Nanggroe Aceh Darussalam, and PT Pelindo," he said in a statement, written Thursday, February 9.

At Kuala Langsa Port, there will be a dredging of -5.5 mLWS, with an estimated druk volume of 197.7 thousand m2.

The dredging was carried out to support aspects of the safety of shipping lanes according to the Port Master Plan.

This includes increasing the flow of connectivity between ports, as well as increasing the volume of movement of goods and competitiveness at Kuala Langsa Port.

**What comes next are calculated molecules, not part of the entry:**
~~~
{
  "formula": "C40H29N6Rb",
  "method": "ωB97M-V/def2-TZVPD",
  "elements": ["Rb", "C", "C", "C", "C", "N", "C", "N", "C", "N", "C", "N", "C", "C", "C", "C", "C", "N", "C", "C", "C", "C", "C", "C", "H", "H", "H", "H", "H", "H", "H", "H", "H", "H", "H", "H", "C", "C", "C", "C", "C", "C", "C", "C", "C", "C", "C", "C", "C", "C", "H", "H", "H", "H", "H", "H", "H", "H", "H", "H", "H", "C", "C", "C", "C", "C", "C", "C", "C", "N", "H", "H", "H", "H", "H", "H"],
  "coordinates": [[-0.14546, -0.17055, -0.54825], [-2.38319, -2.31274, 3.15610], [-2.55619, -1.26347, 4.19327], [-2.60473, 0.01752, 3.83984], [-2.45409, 0.43696, 2.41691], [-2.14026, -0.36799, 1.47485], [-1.96358, -1.78024, 1.76389], [-2.80726, 1.75597, 2.21460], [-2.30867, 2.54576, 1.31576], [-1.22180, 2.44094, 0.50765], [-1.11035, 3.61542, -0.19633], [-0.21124, 4.01665, -1.02124], [0.87439, 3.23279, -1.40198], [2.16135, 3.66204, -1.04264], [3.25608, 2.94806, -1.47543], [3.06230, 1.83066, -2.28169], [1.76367, 1.49763, -2.60395], [0.68057, 2.16600, -2.17916], [-2.23247, 4.53670, 0.16071], [-2.57624, 5.80212, -0.27113], [-3.70729, 6.38791, 0.29087], [-4.45686, 5.71709, 1.25740], [-4.09511, 4.44241, 1.68524], [-2.97355, 3.87316, 1.11569], [-1.71846, -3.10973, 3.49534], [-2.66835, -1.55344, 5.23432], [-2.75795, 0.81468, 4.55562], [-0.95411, -2.07943, 1.45988], [2.25954, 4.53935, -0.41793], [4.25616, 3.23844, -1.18143], [3.89127, 1.21849, -2.60849], [1.56081, 0.62390, -3.21903], [-1.97991, 6.30668, -1.02091], [-4.01378, 7.37902, -0.02366], [-5.33237, 6.19883, 1.67755], [-4.66193, 3.90407, 2.43418], [1.36719, -2.03348, -4.61352], [2.12058, -2.33874, -3.48934], [1.49809, -2.81396, -2.34199], [0.11260, -2.98802, -2.27807], [-0.63294, -2.67029, -3.42048], [-0.01491, -2.20483, -4.56799], [-0.52587, -3.41029, -1.01473], [-1.84251, -3.54765, -0.82908], [-2.46515, -3.86821, 0.39568], [-2.64530, -5.11556, 0.93022], [-3.47215, -5.33577, 2.09820], [-4.00252, -4.34899, 2.84023], [-3.67174, -2.93223, 2.51732], [-3.05154, -2.66506, 1.10872], [1.84512, -1.65123, -5.50758], [3.19405, -2.18831, -3.49238], [2.09112, -3.03857, -1.46257], [-1.70869, -2.78866, -3.36360], [-0.61542, -1.95795, -5.43675], [0.19991, -3.58918, -0.20329], [-2.24267, -5.97650, 0.41004], [-3.67806, -6.36709, 2.37555], [-4.65226, -4.57017, 3.68067], [-4.51884, -2.26637, 2.70247], [-3.67847, -2.10198, 0.41596], [2.63433, -0.93757, 1.01067], [3.79534, -0.44550, 0.47772], [4.41200, 0.77983, 0.94191], [5.56131, 1.26990, 0.40126], [6.23086, 0.61657, -0.66287], [5.66582, -0.59869, -1.12387], [4.52115, -1.10727, -0.58871], [7.42888, 1.13048, -1.20791], [8.41305, 1.55169, -1.65453], [2.23677, -1.89792, 0.70213], [2.16008, -0.44169, 1.85086], [3.92578, 1.32345, 1.74487], [5.97973, 2.19393, 0.78863], [6.16677, -1.13533, -1.92341], [4.12757, -2.04446, -0.96686]],
~~~

At the Kuala Langsa point, there was a deposition with a depth of only 3 meters so that the sea toll boat could not enter. It is hoped that within 4-5 months the dredging process can be carried out and commercial ships can exit and enter Kuala Langsa Port," he said.

Budi hopes that the Langsa City Government and the NAD Provincial Government can support the smooth dredging of the Kuala Langsa Port.

Furthermore, Budi also visited the Type A Paya Ilang Takengon Terminal which was revitalized in 2021 and completed in 2022, using the APBN of IDR 20 billion.

This terminal has an area of about 9,792 m2 and serves the destinations of North Sumatra, Riau, West Sumatra, and DKI Jakarta.

The terminal facilities include bus deposition areas, bus arrival routes, bus departure routes, passenger waiting rooms, management offices and commercial areas.

"Alhamdulillah, I have visited Terminal Type A in Takengon and Rembele Airport (Bener Meriah Regency). The place is beautiful, the air is cool, and the potential is a lot. There is good batik, Kerawang Gayo. Here, there are many potential sites and beautiful buildings, I suggested to Pak Pj. Regent to renovate them for tourist attractions," he said.

The average number of AKAP bus vehicles that come and depart from the Type A Paya Ilang Terminal is 5 buses per day and the average number of AKAP bus passengers is 107 people per day.

Meanwhile, the average AKDP vehicles that come and go are 23 vehicles per day and the average number of AKDP passengers is 142 people per day.

The construction of the Ilang Takengon Paya Terminal is expected to facilitate the flow of passenger connectivity between provinces and regions; increase economic growth; and support the local tourism sector such as Terong Beach, Meneng Beach, Lut Tawar Lake, Loyang Koro Cave, Mengaya Falls, Gayo Arabica Coffee.

Budi conveyed the plan to build a dry port on an area of 4 hectares with a collaboration between the Nanggroe Aceh Provincial Government Darussalam, the Bener Meriah Regency Government, and the Central Aceh Regency Government.

"In addition, it also encourages Forkopimda to explore the tourism potential of Gayo land," he said.